* Full Name
* Phone (day)
Phone (eve)
Phone (cell)
* Address
* City
* State/Province
* Zip/Postal Code
* Email
Age (for making room arrangements)
* Gender
* Alumnus
Institute alumnus(a)
1st time applicant
I would like to participate in the following program(s):
* First title
* Instructor
* Dates
Second title
Alternate title
What are your specific interests, goals, and expectations for the above workshop(s)?
Which of your experiences, classes, or interests are related to the above programs? What is your current career or career interest and institutional affiliation?
Accomodations are double occupancy, but some single rooms are available. Do you have any personal habits, preferences, or concerns that you would like us to consider when assigning roommates?
Which nights will you be staying at the Institute?
Other (please specify):
Do you smoke or snore?
Meal plan choice:
full meal plan (required for residents: includes meals from Friday dinner through Sunday lunch)
commuter meal plan (includes dinner on Friday and lunches on Saturday and Sunday)
Do you have any special dietary requirements we should be aware of?
No significant dietary restrictions
I am a strict vegetarian
I am a "vegetarian," but I do occasionally eat:
fish shellfish
other animal products:
I have the following allergies:
Are you fully able to participate in field trips, some of which may involve hiking over uneven and/or awkward terrain? Please indicate any concerns you might have and how we might be able to help.
Do you have any special medical conditions we should be aware of?
Are you requesting a general discount? Only one of the following may be requested.
Someone pasted calculated crystals at this point
<<<
Simulated powder XRD pattern
Compound: ZrBe2Cu9
Radiation: Cu Kα, 1.54184 Å
Structure: a structure optimized by DFT (PBE)
Neutral-atom scattering factors, no anomalous dispersion.

Structure:
```
data_ZrBe2Cu9
_chemical_formula_sum 'Zr4 Be8 Cu36'
_symmetry_space_group_name_H-M 'I 41/a m d'
_symmetry_Int_Tables_number 141
_cell_length_a 9.7503
_cell_length_b 9.7503
_cell_length_c 6.2119
_cell_angle_alpha 90.00
_cell_angle_beta 90.00
_cell_angle_gamma 90.00
loop_
_symmetry_equiv_pos_as_xyz
'x,y,z'
'-x,-y,-z'
'-y+1/4,x+3/4,z+1/4'
'y+1/4,-x+3/4,-z+1/4'
'-x+1/2,-y,z+1/2'
'x+1/2,y,-z+1/2'
'y+1/4,-x+1/4,z+3/4'
'-y+1/4,x+1/4,-z+3/4'
'x,-y,-z'
'-x,y,z'
'-y+1/4,-x+1/4,-z+3/4'
'y+1/4,x+1/4,z+3/4'
'-x+1/2,y,-z+1/2'
'x+1/2,-y,z+1/2'
'y+1/4,x+3/4,-z+1/4'
'-y+1/4,-x+3/4,z+1/4'
'x+1/2,y+1/2,z+1/2'
'-x+1/2,-y+1/2,-z+1/2'
'-y+3/4,x+1/4,z+3/4'
'y+3/4,-x+1/4,-z+3/4'
'-x,-y+1/2,z'
'x,y+1/2,-z'
'y+3/4,-x+3/4,z+1/4'
'-y+3/4,x+3/4,-z+1/4'
'x+1/2,-y+1/2,-z+1/2'
'-x+1/2,y+1/2,z+1/2'
'-y+3/4,-x+3/4,-z+1/4'
'y+3/4,x+3/4,z+1/4'
'-x,y+1/2,-z'
'x,-y+1/2,z'
'y+3/4,x+1/4,-z+3/4'
'-y+3/4,-x+1/4,z+3/4'
loop_
_atom_site_label
_atom_site_fract_x
_atom_site_fract_y
_atom_site_fract_z
Zr1 0.0000 0.2500 0.3750
Be1 0.0000 0.0000 0.0000
Cu1 0.0000 0.2500 0.8750
Cu2 0.1219 0.0500 0.6844
```

Peak list (12 most intense, 5 to 70 degrees two-theta, by angle)
two_theta, intensity, hkl
25.85, 15, 2 2 0
31.06, 21, 3 0 1
34.23, 18, 2 0 2
40.83, 13, 4 1 1
41.26, 100, 3 1 2
41.41, 72, 4 2 0
44.74, 22, 1 0 3
47.41, 19, 4 0 2
48.96, 57, 5 0 1
51.19, 13, 4 2 2
52.39, 11, 3 0 3
62.83, 17, 5 4 1
>>>
Year-round resident of Washington or Hancock County (20%)
Institute alumnus(a) of 1 previous seminar (10%)
Institute alumnus(a) of 2-3 previous seminars
Institute alumnus(a) of 4+ previous seminars
University student (10%); with faculty letter of recommendation(20%)
Group (10%)
If you are a student, please list your university or college. If you are an alumnus, please list seminars you have attended.
Are you interested in possibly carpooling if someone inquires?
Yes No If yes from where?
Other pertinent information, comments, questions, etc., are welcome:
In case of emergency, contact:
Emergency Contact Name
Emergency Contact Phone
Emergency Contact Email
Each application needs to be accompanied by a $50 deposit, which is credited towards costs for room, board, and tuition. The balances is due upon arrival at Eagle Hill. Once you click "Submit" below, you have the option to go to a secure server to pay your deposit by credit card by way of PayPal ... or ... to choose "Pay by check".
I grant Eagle Hill Institute the permission to use any photographs taken of me during my participation in the above seminar(s) solely for the purposes of Eagle Hill Institute-related promotional material and publications.
How did you hear about Eagle Hill?
Eagle Hill Facebook page
Flyer on community bulletin board
Official Eagle Hill emails
Other organizations' mailing list (e.g. botanical societies)
Received promotional material at an event (e.g. conferences)
I check the website periodically
I understand that during my participation in this seminar, reasonable efforts will be made to assure my comfort and safety both at the host facility and in the field. I recognize my own responsibilities in this regard. Full details on liability are available.
* Signed
(type your name)
* Dated